
Congress wins a tax battle but could lose the war

Congress wins a tax battle but could lose the war

**Someone pasted records of crystals at this point**
No. 1
Here is an optimized crystal structure of Ba2MgZrTiO6 from the Materials Project database. Energies are from PBE.

Geometry as extended XYZ:
```
11
Lattice="-0.9454 0.2687 5.8389 -0.5142 -4.9890 3.1502 5.0164 -1.5834 3.8789" Properties=species:S:1:pos:R:3 pbc="T T T"
O -0.0252 -3.9446 7.6955
O 2.8280 -2.2500 8.0334
O 3.0487 -4.8245 6.7191
O 3.3006 -2.3810 5.1762
O 0.2345 -1.4253 6.1047
O 0.4580 -4.0797 4.7489
Ba 1.7754 -1.5742 3.3644
Ba 2.7850 -4.7244 9.6753
Mg 3.9863 -3.1508 6.7959
Ti -1.3691 -4.7194 9.0051
Zr 1.3035 -3.1487 6.3613
```

Results
Formation energy in meV per atom: -2844
Final energy in eV per atom: -7.16
Energy relative to the lowest polymorph listed for this composition in eV/atom: 0.2335

No. 2
Here is an optimized crystal structure of Ba2MgZrTiO6 from the Materials Project database. Energies are from PBE.

Geometry as extended XYZ:
```
11
Lattice="-0.3277 -0.3281 6.2892 4.4159 -2.6037 3.6728 3.4925 3.6161 3.1869" Properties=species:S:1:pos:R:3 pbc="T T T"
Ba 1.9288 -0.2003 3.6713
Ba 5.6519 0.8846 9.4776
O 5.9021 0.6260 6.6630
O 4.1901 -1.1465 5.1007
O 3.6503 1.8830 4.9803
O 3.9304 -1.1987 8.1686
O 3.3906 1.8308 8.0482
O 1.6786 0.0582 6.4859
Ti 0.0000 0.0000 0.0000
Mg 1.7462 1.8080 1.5935
Zr 3.7903 0.3421 6.5745
```

Results
Formation energy in meV per atom: -2875
Final energy in eV per atom: -7.19
Energy relative to the lowest polymorph listed for this composition in eV/atom: 0.2030

No. 3
Here is an optimized crystal structure of BaMg6ZnO8 from the Materials Project database. Energies are from PBE.

Geometry as extended XYZ:
```
16
Lattice="-3.3208 -4.7102 -6.7094 3.7769 -2.7266 0.0448 -2.0921 -2.8482 3.0351" Properties=species:S:1:pos:R:3 pbc="T T T"
Mg 1.0087 -2.6111 -1.7550
Mg -1.9258 -2.6719 -0.2598
Mg -0.5527 -4.8257 -4.9096
Mg -1.6604 -2.3551 -3.3547
Mg -0.8180 -5.1425 -1.8148
Mg -3.4872 -4.8865 -3.4145
Zn 0.0000 0.0000 0.0000
O -0.8449 -1.1984 -1.7071
O 1.8884 -1.3633 0.0224
O -1.0461 -1.4241 1.5175
O -1.5402 -6.1668 -3.2738
O -2.7065 -3.7792 -1.8372
O -2.4759 -3.5118 -5.0023
O 0.2280 -3.7184 -3.3323
O -0.0959 -4.1182 -0.3558
Ba 0.8424 -2.7874 1.5399
```

Results
Formation energy in meV per atom: -2492
Final energy in eV per atom: -5.42
Energy relative to the lowest polymorph listed for this composition in eV/atom: 0.0052

No. 4
Here is an optimized crystal structure of BaMg6ZnO8 from the Materials Project database. Energies are from PBE.

Geometry as extended XYZ:
```
16
Lattice="8.7373 0.0000 0.0000 0.0000 4.7064 0.0000 0.0000 0.0000 4.7064" Properties=species:S:1:pos:R:3 pbc="T T T"
Mg 0.0000 2.3532 2.3532
Mg 2.0393 2.3532 0.0000
Mg 4.3687 2.3532 2.3532
Mg 2.0393 0.0000 2.3532
Mg 6.6980 2.3532 0.0000
Mg 6.6980 0.0000 2.3532
O 0.0000 2.3532 0.0000
O 0.0000 0.0000 2.3532
O 4.3687 0.0000 2.3532
O 6.8367 0.0000 0.0000
O 4.3687 2.3532 0.0000
O 6.5703 2.3532 2.3532
O 2.1670 2.3532 2.3532
O 1.9006 0.0000 0.0000
Ba 4.3687 0.0000 0.0000
Zn 0.0000 0.0000 0.0000
```

Results
Formation energy in meV per atom: -2497

This week, the U.S. Supreme Court denied shareholders Charles and Kathleen Moore a $15,000 refund for taxes they paid on their share of undistributed profits from an offshore company. The court affirmed Congress’s tax authority, at least as it relates to taxing undistributed offshore profits. But what about Congress’s authority to tax other unreceived profits, such as unrealized capital gains or other investment income? Because of the court’s limited jurisdiction and divided opinions, a cloud of uncertainty now hangs over our tax code.

The scope of Moore v. United States is narrow.

As part of the 2017 restructuring of international tax rules, Congress imposed a one-time tax on profits hoarded abroad by U.S. companies and investors. Without this temporary mandatory repatriation tax, about $2.6 trillion in offshore profits would have permanently escaped U.S. tax due to other changes in the 2017 law. But the Moores argued that Congress could not tax U.S. shareholders on the undistributed income of offshore companies because the shareholders had neither received nor “realized” the income.

To ordinary taxpayers, the idea of ​​taxing income not received may seem unfair and unconstitutional. Wages are not taxed until they are received, and capital gains are generally not taxed until interest or dividends are paid or the investment is sold at a profit.

And indeed, Congress generally waits to tax income until it is actually received—because Congress views this as an “administrative convenience” (it is easier to calculate) rather than a constitutional requirement. But sometimes Congress also taxes “book profits” and other forms of unreceived income because this is the only way to fairly tax certain economic events. Such cases include many capital market and international transactions, including, as in Moore’s case, unreceived profits attributed to shareholders of offshore companies.

Justice Brett Kavanaugh, writing for the majority, affirmed Congress’s authority to tax undistributed profits. He noted that since the creation of the income tax, Congress has taxed the owners of certain corporations (so-called pass-through corporations) on the income of those corporations rather than taxing the corporations themselves. But Kavanaugh stopped short of holding that the practice of deferring taxation until realization is based on administrative expediency rather than a constitutional requirement, notwithstanding previous court rulings.

The constitutional requirement that income must be “realized” remains unresolved but will resurface.

Kavanaugh distinguished between the case at hand—taxing undistributed offshore corporate profits—and taxing unrealized gains from the appreciation of private assets, a distinction he said the government had recognized. He and three other justices who joined him (Chief Justice John Roberts and Justices Elena Kagan and Sonia Sotomayor) did not take a position on whether such appreciation was taxable. Only Justice Ketanji Brown Jackson, in a concurring opinion, said that realization was not a constitutional requirement.

But four justices (Amy Coney Barrett, Samuel Alito, Clarence Thomas and Neil Gorsuch) explicitly stated that the finding Is a constitutional requirement. President Biden and Senate Finance Committee Chairman Ron Wyden (D-OR) have proposed taxes on the unrealized gains of the nation’s wealthiest households. In their opinion, these four justices would find taxing billionaires’ unrealized gains unconstitutional. So if either Roberts or Kavanaugh (the most likely nominees) were to join them in a case challenging a billionaires’ tax, the tax would fail.

And Moore will certainly pose new challenges to existing tax laws, particularly to the tax rules for capital gains, many of which are based on accounting gains (such as zero-coupon bonds, contingent debt, forward contracts, swaps, and constructive sales). Without these rules, savvy taxpayers could structure their investments to achieve economic benefits without encountering realization events that normally trigger tax liability. How would Kavanaugh and his co-authors respond to these new challenges to the tax law?

Only Congress, with its resources and expertise, can balance revenue needs, administrative convenience, and equity in designing taxes, including taxes on unrealized gains. And Congress, after careful consideration over the decades, has identified certain types of such income that must be taxed in order for the nation’s tax system to function properly.

Despite the decision in favor of Congress’s tax sovereignty in Moorethe Court could still undermine Congress’s taxing authority. More litigation is likely—and the Court could well violate Congress’s prerogatives in future similar cases.